'As we go marching', the core weakness of European arms manufacturing is revealed, which will, of course, do not change the politicians' minds as they have long-since departed reality
A couple of things you may not be aware of about SIPRI:
It has been since inception heavily slanted towards pro-Soviet policies, due to infiltration, and this tilted to become pro-Russian later, as well as pro-Iranian and pro-islamic. SIPRI is currently known to be infiltrated by the Moslem Brotherhood, and is in part funded by Russia.
Manfred Lasczak, head of STASI in Sweden in the 1970s, explicitly stated in an interview that SIPRI was one of the prime targets of STASI for infiltration and subversion and that the sauna of the DDR embassy was a virtual meetings&communications hub of Swedish communist politicians, journalists (including some of our major papers and also state media journos) and SIPRI-staff, and DDR diplomatic corps and STASI agents.
More examples of how SIPRI was an instrument for DDR/USSR can be found in Bo Theutenberg's book series "Dagböcker från UD" (Foreign Department diaries, roughly). A sample:
"Agenten ”ENGELMANN” (XV/19114/60), i klartext Karl-Heinz LOHS, östtysk medlem i SIPRIS styrelse, berörde i sin rapport till STASI (SIRA nr 33233) kärnvapen, kärnvapennedrustning, kärnvapenfri zon mm."
"Agent 'ENGELMANN' (XV/19114/60), real name Karl-Heinz LOHS, East German member or SIPRIS' board of directors, touched upon in his report to STASI (SIRA nr 33233) nuclear weapons, nuclear disarmament, nuclear free zones, et c."
An agent of STASI as a member of the board of directors.
It's no secret for Swedes read-up on our Cold War history that there was a very real non-violent war going on within the state itself, with pro-USA and pro-USSR factions infiltrating and utilising purportedly neutral NGOs as lobbyists and levers. SIPRI was a diplomatic weapon in the service of the USSR, and is today a willing tool of Russia and the Moslem Brotherhood both, simply due to intertia and its political history.
No wonder the MSM is doing the marketing for SIPRI, they always do. They have the same background after all - all the senior journalists and editors are old KPML(r)-members or old Maoists and the like.
It seems to me that modern industrial economies cannot sustain themselves without a constant and large influx of money from the state, usually borrowed. Today’s economies require a permanent Keynesian stimulus. We are heading into a systemic collapse which usually ends up in wars. War has always acted as an economic reset, but this time around, I suspect, there won’t be any post war growth in the West; I suspect the West will be a net loser. The Rulers are pulling the plug on the West. In its stead, they hope to bring about a planetary oligarchical order.
(1)
Theoretical PXRD pattern of Na4Sn2Ge5O17 for Cu Ka, from a cell relaxed with GGA-PBE.
Intensities are scaled so that the largest is 100.

Most intense lines, 2θ = 5–70°, by angle:
2θ (°)  d_spacing  I_rel  (hkl)
8.67  10.200  34.9  0 0 2
13.01  6.803  56.6  1 0 -1
17.39  5.100  38.6  0 0 4
20.56  4.320  83.4  1 1 0
22.63  3.929  51.6  1 1 2
26.21  3.400  45.6  0 0 6
27.52  3.241  53.3  1 1 4
30.23  2.957  100.0  2 1 -1
32.56  2.750  53.7  1 0 -7
32.83  2.728  31.3  0 2 0
34.12  2.628  34.8  1 1 6
37.42  2.403  38.1  0 2 4

Atomic structure:
```
56
Lattice="7.084 0.000 0.000 0.000 5.455 0.000 -1.157 0.000 20.400" Properties=species:S:1:pos:R:3 pbc="T T T"
Na 0.496 0.000 4.508
Na 0.295 4.139 19.579
Na 1.433 4.117 11.023
Na 2.381 2.801 5.648
Na 3.546 2.801 14.752
Na 4.494 4.117 9.376
Na 5.632 4.139 0.821
Na 5.431 0.000 15.891
Sn -0.444 2.826 13.482
Sn 2.238 5.449 17.140
Sn 3.689 5.449 3.260
Sn 6.371 2.826 6.918
Ge -0.579 1.401 10.200
Ge 0.038 2.595 16.864
Ge 1.206 0.062 7.842
Ge 1.768 2.778 2.348
Ge 1.767 0.213 13.755
Ge 3.542 1.445 0.000
Ge 4.160 0.213 6.644
Ge 4.159 2.778 18.051
Ge 4.721 0.062 12.558
Ge 5.889 2.595 3.536
O 0.000 0.415 0.000
O -0.861 3.236 15.482
O -0.003 2.590 2.168
O -0.014 2.411 11.492
O 0.601 1.199 6.644
O 0.674 0.281 9.553
O 0.499 4.648 13.095
O 0.451 0.896 16.610
O 1.048 3.842 7.354
O 1.931 4.487 2.748
O 1.344 1.911 14.018
O 1.288 3.636 17.527
O 2.300 2.555 0.648
O 2.412 1.651 3.531
O 1.698 0.469 19.124
O 2.988 0.234 8.041
O 2.635 4.989 15.144
O 2.964 2.449 10.200
O 3.292 4.989 5.255
O 2.939 0.234 12.358
O 4.229 0.469 1.276
O 3.515 1.651 16.869
O 3.627 2.555 19.751
O 4.639 3.636 2.872
O 4.583 1.911 6.381
O 3.996 4.487 17.652
O 4.879 3.842 13.045
O 5.476 0.896 3.789
O 5.428 4.648 7.305
O 5.253 0.281 10.846
O 5.326 1.199 13.755
O 5.941 2.411 8.908
O 5.930 2.590 18.231
O 6.788 3.236 4.918
```



(2)
Theoretical PXRD pattern of Na4Sn2Ge5O17 for Cu Ka, from a cell relaxed with GGA-PBE.
Intensities are scaled so that the largest is 100.

Most intense lines, 2θ = 5–70°, by angle:
2θ (°)  d_spacing  I_rel  (hkl)
8.64  10.229  36.9  0 0 2
12.99  6.816  56.1  1 0 0
17.34  5.114  38.0  0 0 4
20.54  4.323  83.2  1 1 -1
22.61  3.933  52.2  1 1 -3
26.14  3.409  46.3  0 0 6
27.48  3.246  51.8  1 1 -5
30.19  2.960  100.0  2 1 -1
32.46  2.758  53.4  1 0 6
32.82  2.729  34.0  0 2 0
34.04  2.634  50.2  1 1 -7
37.39  2.405  37.8  0 2 4

Atomic structure:
```
56
Lattice="7.094 0.000 0.000 0.000 5.458 0.000 -5.909 0.000 20.457" Properties=species:S:1:pos:R:3 pbc="T T T"
Na -2.009 1.335 9.656
Na -4.964 4.123 19.885
Na 0.029 5.456 5.944
Na -2.926 0.002 16.173
Na 4.111 5.456 4.284
Na 1.156 0.002 14.513
Na 6.149 1.335 0.572
Na 3.194 4.123 10.801
Sn 2.209 1.306 1.819
Sn -0.745 4.152 12.047
Sn 1.930 1.306 8.410
Sn -1.025 4.152 18.638
Ge -2.676 1.374 12.980
Ge 0.279 4.084 2.752
Ge -3.231 1.554 18.895
Ge -0.277 3.904 8.667
Ge -0.885 2.707 15.343
Ge 2.070 2.751 5.114
Ge 1.461 1.554 11.791
Ge 4.416 3.904 1.562
Ge 0.906 1.374 17.706
Ge 3.861 4.084 7.477
The interests of Rulers and of the rest of us have long ago utterly diverged. The ramifications of this are yet to be played out. If we leave it to them, the future for us looks pretty bleak. We can look forward to living in 15 minutes cities and eating Soylent Green.
Well, I suppose it comes down to definitions: what's a 'modern industrial economy'?
Marx called the problem 'the structural crisis' (but Marx was an occult theosophical wizard and not an economist), but the issue is, it seems, the 'business cycle' itself, which we seem to cannot stand anymore.
Enter big gov't, and the 'system' gets perverted to ever-larger degrees.
It doesn't matter, by the way, if you're on 'the left™' (whatever that means) decrying Big Business or if you're on 'the right™' (same issue) decrying Big Gov't--the problem is that they are flip sides of the same coin. The former is, technically speaking, a behemoth striving for vertical integration (control of inputs, supply lines, labour, sales, etc.) while the latter strives for horizontal integration (laws, regulations, rules, etc.).
The end result is ever-shrinking freedom for everyone, and it doesn't matter if you're an individual and get squeezed by downward pressure on wages or taxed excessively. The result is the same: more control over whatever one does.
Yes, the size of government is directly related to the dominant scale of business enterprise. G.K. Chesterton and Hilaire Belloc saw that coming. Government and business merge into one, ever increasing totalitarian system. Growing wealth while real economy is shrinking is a form of cannibalism which cannot be sustained. What they do to us is directly connected to our ability to tolerate their pillaging and plunder.
A couple of things you may not be aware of about SIPRI:
It has been since inception heavily slanted towards pro-Soviet policies, due to infiltration, and this tilted to become pro-Russian later, as well as pro-Iranian and pro-islamic. SIPRI is currently known to be infiltrated by the Moslem Brotherhood, and is in part funded by Russia.
Manfred Lasczak, head of STASI in Sweden in the 1970s, explicitly stated in an interview that SIPRI was one of the prime targets of STASI for infiltration and subversion and that the sauna of the DDR embassy was a virtual meetings&communications hub of Swedish communist politicians, journalists (including some of our major papers and also state media journos) and SIPRI-staff, and DDR diplomatic corps and STASI agents.
More examples of how SIPRI was an instrument for DDR/USSR can be found in Bo Theutenberg's book series "Dagböcker från UD" (Foreign Department diaries, roughly). A sample:
"Agenten ”ENGELMANN” (XV/19114/60), i klartext Karl-Heinz LOHS, östtysk medlem i SIPRIS styrelse, berörde i sin rapport till STASI (SIRA nr 33233) kärnvapen, kärnvapennedrustning, kärnvapenfri zon mm."
"Agent 'ENGELMANN' (XV/19114/60), real name Karl-Heinz LOHS, East German member or SIPRIS' board of directors, touched upon in his report to STASI (SIRA nr 33233) nuclear weapons, nuclear disarmament, nuclear free zones, et c."
An agent of STASI as a member of the board of directors.
It's no secret for Swedes read-up on our Cold War history that there was a very real non-violent war going on within the state itself, with pro-USA and pro-USSR factions infiltrating and utilising purportedly neutral NGOs as lobbyists and levers. SIPRI was a diplomatic weapon in the service of the USSR, and is today a willing tool of Russia and the Moslem Brotherhood both, simply due to intertia and its political history.
Oh, I just looked at their ‘about us’ section and noticed its lavishly funded by just about all the ‘usual suspects’, which was obvious.
While I didn’t know about what you mentioned, the fact that this NGO (sic) sells its prouct (the report) is tellong enough.
My point is that MSM is doing second-hand reporting and propagandising its readers/viewers.
No wonder the MSM is doing the marketing for SIPRI, they always do. They have the same background after all - all the senior journalists and editors are old KPML(r)-members or old Maoists and the like.
KPML(r) = KommunistPartietMarxist-Leninisterna(radikal)
Well, I'm certainly not surprised at-all.
I bet they all sport stellar ESG scores.
That is the most important aspect here: I'm sure these companies all do, but then again, check out today's (5 Dec.) posting.
It seems to me that modern industrial economies cannot sustain themselves without a constant and large influx of money from the state, usually borrowed. Today’s economies require a permanent Keynesian stimulus. We are heading into a systemic collapse which usually ends up in wars. War has always acted as an economic reset, but this time around, I suspect, there won’t be any post war growth in the West; I suspect the West will be a net loser. The Rulers are pulling the plug on the West. In its stead, they hope to bring about a planetary oligarchical order.
The interests of Rulers and of the rest of us have long ago utterly diverged. The ramifications of this are yet to be played out. If we leave it to them, the future for us looks pretty bleak. We can look forward to living in 15 minutes cities and eating Soylent Green.
Well, I suppose it comes down to definitions: what's a 'modern industrial economy'?
Marx called the problem 'the structural crisis' (but Marx was an occult theosophical wizard and not an economist), but the issue is, it seems, the 'business cycle' itself, which we seem to cannot stand anymore.
Enter big gov't, and the 'system' gets perverted to ever-larger degrees.
It doesn't matter, by the way, if you're on 'the left™' (whatever that means) decrying Big Business or if you're on 'the right™' (same issue) decrying Big Gov't--the problem is that they are flip sides of the same coin. The former is, technically speaking, a behemoth striving for vertical integration (control of inputs, supply lines, labour, sales, etc.) while the latter strives for horizontal integration (laws, regulations, rules, etc.).
The end result is ever-shrinking freedom for everyone, and it doesn't matter if you're an individual and get squeezed by downward pressure on wages or taxed excessively. The result is the same: more control over whatever one does.
Yes, the size of government is directly related to the dominant scale of business enterprise. G.K. Chesterton and Hilaire Belloc saw that coming. Government and business merge into one, ever increasing totalitarian system. Growing wealth while real economy is shrinking is a form of cannibalism which cannot be sustained. What they do to us is directly connected to our ability to tolerate their pillaging and plunder.
Max Weber called the prospect of Western civ “mechanised ossification”, btw.